### File
<<<
Record 1
ORCA calculation (the ωB97M-V functional and the def2-TZVPD basis) on C28H34BrCl3N8O6SSiZr as an isolated structure.

Atoms and positions in Å:
Zr 0.02 0.76 0.53
N -4.30 -0.31 -0.85
C -2.97 -0.37 -0.51
S -2.53 0.26 1.05
N -2.16 -0.92 -1.36
N -0.86 -0.97 -0.88
C -0.20 -1.97 -1.34
C 1.14 -2.37 -0.95
C 1.77 -3.39 -1.67
C 2.99 -3.89 -1.28
C 3.59 -3.40 -0.13
C 2.98 -2.40 0.61
C 1.76 -1.85 0.20
O 1.20 -0.90 0.92
H -4.83 0.41 -0.40
H -4.49 -0.46 -1.83
H -0.72 -2.62 -2.05
H 1.27 -3.79 -2.55
H 3.47 -4.68 -1.86
H 4.54 -3.80 0.20
H 3.44 -2.01 1.52
C 2.28 0.44 3.68
C 0.90 -0.09 3.42
O 0.08 0.60 2.78
N 0.59 -1.28 3.90
C -0.63 -1.99 3.54
C -0.33 -3.15 2.62
C -1.18 -3.46 1.57
C -0.87 -4.55 0.78
C 0.27 -5.28 1.06
C 1.06 -4.88 2.12
N 0.77 -3.84 2.90
H 2.78 0.48 2.72
H 2.85 -0.17 4.38
H 2.20 1.46 4.05
H 1.33 -1.86 4.27
H -1.31 -1.29 3.06
H -1.10 -2.36 4.45
H -2.04 -2.83 1.36
H -1.51 -4.82 -0.06
H 0.56 -6.14 0.46
H 1.97 -5.42 2.37
C 4.83 -0.08 -1.37
N 3.64 0.74 -1.24
C 2.81 2.33 0.30
C 2.50 0.53 -1.98
N 1.31 0.68 -1.48
N 2.75 0.23 -3.30
C 3.73 1.01 -4.05
C 1.66 -0.27 -4.11
H 4.86 -0.79 -0.54
H 5.72 0.55 -1.34
H 4.79 -0.62 -2.30
H 3.49 2.91 0.93
H 1.20 3.18 1.82
H 2.70 2.81 -0.67
H 0.64 0.68 -2.25
H 4.41 1.52 -3.38
H 3.21 1.77 -4.66
H 4.30 0.36 -4.71
H 1.01 0.53 -4.48
H 1.07 -0.99 -3.55
H 2.09 -0.79 -4.97
O 1.62 2.14 0.94
O 3.43 1.05 0.11
Br -4.88 7.39 4.33
C -3.55 6.23 3.64
C -3.94 5.11 2.92
C -2.96 4.27 2.42
C -1.62 4.55 2.64
C -1.24 5.68 3.36
C -2.21 6.53 3.87
C -0.60 3.63 2.10
O 0.64 3.90 2.36
O -0.95 2.65 1.43
H -4.98 4.91 2.76
H -3.22 3.39 1.85
H -0.20 5.89 3.52
H -1.94 7.41 4.43
Cl -0.04 4.28 -1.37
Si -1.17 2.48 -1.37
Cl -3.13 3.18 -1.15
Cl -1.15 1.98 -3.44

Its max |F| is 0.36 eV/A. The HOMO-LUMO gap is 7.97 eV. Its energy above the lowest of the compared OMol25 structures with the same formula, charge and spin is 210.21 kJ/mol.

---

Record 2
ORCA calculation (the ωB97M-V functional and the def2-TZVPD basis) on C28H34F2N8 as an isolated structure.

Atoms and positions in Å:
F -2.18 -2.66 -0.15
C -2.39 -1.94 0.96
C -3.65 -1.70 1.44
C -3.86 -1.10 2.69
C -2.74 -0.62 3.40
C -1.45 -0.90 2.96
C -1.35 -1.50 1.71
H -4.51 -2.08 0.91
H -4.87 -1.01 3.06
H -2.95 -0.07 4.31
H -0.60 -0.60 3.56
H -0.34 -1.73 1.42
F -1.07 2.07 -3.57
C -0.32 2.50 -2.51
C 0.47 3.61 -2.75
C 1.36 4.03 -1.82
C 1.31 3.48 -0.57
C 0.52 2.33 -0.27
C -0.27 1.81 -1.30
H 0.38 4.06 -3.72
H 2.01 4.87 -2.03
H 2.00 3.99 0.09
H 0.53 1.92 0.73
H -0.95 0.99 -1.14
C 2.89 -2.01 1.09
C 1.78 -2.87 0.67
N 0.90 -3.55 0.38
H 2.69 -0.95 0.98
H 3.76 -2.20 0.47
H 3.07 -2.36 2.11
C -1.96 2.16 2.48
C -1.39 3.22 1.69
N -0.96 4.10 1.03
H -1.44 2.05 3.43
H -2.00 1.20 1.95
H -3.01 2.42 2.63
C 2.73 0.62 -1.39
C 2.58 0.63 0.05
N 2.49 0.64 1.17
H 3.16 -0.31 -1.75
H 3.39 1.43 -1.72
H 1.84 0.63 -2.01
C -2.96 -0.75 -1.14
C -1.91 -0.26 -2.05
N -1.08 0.15 -2.78
H -2.87 -1.84 -1.08
H -3.87 -0.45 -1.64
H -2.88 -0.38 -0.12
C 0.75 -0.15 -2.98
C 0.62 -1.28 -3.92
N 0.53 -2.22 -4.65
H -0.08 0.53 -3.18
H 1.71 0.35 -3.11
H 0.64 -0.53 -1.97
C 2.13 0.67 2.96
C 0.93 -0.09 2.77
N -0.01 -0.74 2.59
H 2.12 1.66 2.49
H 2.90 0.05 2.49
H 2.36 0.75 4.02
C 0.34 -0.66 0.01
C -0.73 0.26 0.22
N -1.67 0.96 0.37
H 0.93 -0.37 -0.86
H -0.10 -1.66 0.00
H 0.90 -0.64 0.95
C 0.67 -3.39 -1.72
C 1.46 -2.15 -1.49
N 2.07 -1.20 -1.33
H 0.35 -3.47 -2.76
H -0.19 -3.53 -1.06
H 1.35 -4.23 -1.69

Its max |F| is 18.15 eV/A. The HOMO-LUMO gap is 6.72 eV. Its energy above the lowest of the compared OMol25 structures with the same formula, charge and spin is 4130.53 kJ/mol.

---

Record 3
ORCA calculation (the ωB97M-V functional and the def2-TZVPD basis) on a 5-piece molecular cluster, C28H34F4N4O3 overall.

Atoms and positions in Å:
C 0.88 5.29 -2.28
C 1.56 4.77 -3.68
C 2.80 3.70 -3.48
F 3.29 3.37 -4.87
C 2.35 2.34 -2.63
O 2.50 2.70 -1.18
C 3.38 1.07 -2.88
O 2.83 -0.24 -2.51
C 2.90 -0.50 -1.06
C 1.32 -0.71 -0.56
F 0.48 -1.33 -1.62
F 0.66 0.55 -0.17
F 1.34 -1.61 0.62
O 0.93 2.02 -2.82
C 0.64 1.46 -4.15
H 1.74 5.88 -1.69
H 0.44 4.41 -1.61
>>>

### Job
The reader should work out how many lines earlier on have the word "Its" in them; a number is enough.

### Response
2